**Source:**
=====
[1]
{
  "formula": "C4H2Br3Cl",
  "method": "the ωB97M-V functional and the def2-TZVPD basis",
  "gap_ev": [7.8, 7.8],
  "e_homo_ev": [-9.685, -9.683],
  "lumo_energy_ev": [-1.91, -1.91],
  "charge": 0,
  "symbols": ["Br", "Br", "Br", "Cl", "C", "C", "C", "C", "H", "H"],
  "coordinates": [[-0.095, 0.751, -2.270], [0.453, 3.620, 0.338], [-0.157, -2.630, 1.322], [1.955, 1.228, 2.443], [-0.495, 0.663, -0.349], [0.909, 0.897, 1.124], [0.402, -0.343, 0.419], [0.211, 1.806, 0.422], [0.976, -1.084, -0.320], [-1.656, 0.516, -0.343]]
}

---

[2]
{
  "formula": "C4H8N2O2",
  "method": "the ωB97M-V functional and the def2-TZVPD basis",
  "gap_ev": 9.7,
  "e_homo_ev": -8.809,
  "lumo_energy_ev": 0.93,
  "charge": 0,
  "symbols": ["O", "O", "N", "N", "C", "C", "C", "C", "H", "H", "H", "H", "H", "H", "H", "H"],
  "coordinates": [[0.774, 1.082, 1.009], [-0.234, -2.015, 0.758], [-1.366, -0.331, -0.211], [-2.649, 1.213, -1.166], [-1.417, 0.847, -0.881], [1.021, -0.026, 0.164], [-0.222, -0.910, 0.274], [2.273, -0.797, 0.570], [2.168, -1.145, 1.594], [2.402, -1.659, -0.078], [-3.484, 0.689, -0.890], [1.513, 1.695, 0.930], [1.093, 0.312, -0.882], [-2.803, 2.072, -1.666], [-2.220, -0.871, -0.021], [3.151, -0.158, 0.495]]
}

---

[3]
{
  "formula": "C20H13Cl2F3N4S2Ta",
  "method": "the ωB97M-V functional and the def2-TZVPD basis",
  "gap_ev": 6.1,
  "e_homo_ev": -17.856,
  "lumo_energy_ev": -11.71,
  "charge": 3,
  "symbols": ["Ta", "Cl", "Cl", "S", "S", "F", "F", "F", "N", "N", "N", "N", "C", "C", "C", "C", "C", "C", "C", "C", "C", "C", "C", "C", "C", "C", "C", "C", "C", "C", "C", "C", "H", "H", "H", "H", "H", "H", "H", "H", "H", "H", "H", "H", "H"],
  "coordinates": [[0.567, 0.448, 0.589], [-3.925, -0.763, 1.685], [-1.052, -0.298, 2.545], [2.743, 4.350, 1.390], [0.346, -2.103, 0.013], [2.478, -4.771, -0.124], [0.818, -4.928, 1.291], [2.902, -5.442, 1.882], [0.508, 0.598, -1.528], [1.861, 1.802, 0.803], [-1.112, 1.738, 0.268], [1.901, -0.726, 1.592], [-2.387, 1.451, -3.768], [-0.121, 0.406, -4.296], [1.328, -0.092, -2.384], [2.359, -3.186, 1.697], [2.308, 2.914, 1.021], [-2.428, -1.508, 2.064], [3.187, -2.912, 2.821], [2.133, -4.583, 1.170], [-3.179, 2.114, -2.869], [-1.524, 1.748, -1.060], [-1.089, 0.931, -3.423], [-1.697, 2.642, 1.118], [-0.689, 1.082, -2.020], [2.810, -0.456, 2.529], [-2.825, 3.348, 0.732], [0.989, -0.271, -3.716], [-3.317, 3.320, -0.560], [3.317, -1.543, 3.247], [1.704, -2.060, 1.093], [-2.720, 2.384, -1.499], [-4.246, 2.375, -3.159], [-0.319, 0.470, -5.369], [-1.367, 2.698, 2.141], [-4.249, 3.841, -0.816], [-2.534, -2.085, 2.999], [-3.262, 3.926, 1.512], [3.003, 0.612, 2.720], [-2.793, 1.266, -4.798], [-1.878, -1.992, 1.220], [3.730, -3.716, 3.292], [1.553, -1.133, -4.190], [2.213, -0.563, -1.953], [3.955, -1.336, 4.097]]
}

---

[4]
{
  "formula": "C4H9F",
  "method": "the ωB97M-V functional and the def2-TZVPD basis",
  "smiles": "CC(C)(C)F",
  "gap_ev": 11.4,
  "e_homo_ev": -10.441,
  "lumo_energy_ev": 1.00,
  "charge": 0,
  "symbols": ["F", "C", "C", "C", "C", "H", "H", "H", "H", "H", "H", "H", "H", "H"],
  "coordinates": [[-1.123, -0.527, 0.423], [1.207, -0.519, 0.897], [-0.022, 0.095, -0.048], [0.311, -0.580, -1.368], [-0.446, 1.564, 0.083], [1.263, -1.657, 0.744], [1.085, -0.283, 1.935], [-0.488, -0.327, -1.989], [1.305, -0.282, -1.505], [-0.962, 1.631, 1.033], [0.352, 2.278, 0.051], [2.237, -0.052, 0.496], [0.234, -1.645, -1.239], [-1.226, 1.711, -0.719]]
}

---

[5]
{
  "formula": "C20H26N2O7S",
  "method": "the ωB97M-V functional and the def2-TZVPD basis",
  "smiles": "CCOC(=O)c1cc2ccc(O)cc2oc1=O.CNC(=O)[C@H](CCSC)NC(C)=O",
  "gap_ev": 8.4,
  "e_homo_ev": -8.815,
  "lumo_energy_ev": -0.42,
  "charge": 0,
  "symbols": ["S", "O", "O", "O", "O", "O", "O", "O", "N", "N", "C", "C", "C", "C", "C", "C", "C", "C", "C", "C", "C", "C", "C", "C", "C", "C", "C", "C", "C", "C", "H", "H", "H", "H", "H", "H", "H", "H", "H", "H", "H", "H", "H", "H", "H", "H", "H", "H", "H", "H", "H", "H", "H", "H", "H", "H"],
=====
**Request:**
It remains to search the calculation results earlier on for the word "CC" and quote each line that has it.
**Outcome:**
  "smiles": "CC(C)(C)F",